Activity =
Please search the block below for the word "Tl" and echo each line that has it.
Excerpt =
~~~
(1)
Theoretical powder XRD pattern of Ba4GeH2 for Cu Kα (weighted mean of Kα1 and Kα2), from a DFT-relaxed cell (PBE, Alexandria).
Lines closer than 0.1° are merged.

Cell and atoms:
a b c (Å): 10.176 8.582 8.562
angles (deg): 72.81 53.68 53.50
Atoms (fractional coordinates):
Ba 0.150 0.292 0.290
Ba 0.232 0.710 0.708
Ba 0.290 0.768 0.150
Ba 0.292 0.150 0.768
Ba 0.708 0.850 0.232
Ba 0.710 0.232 0.850
Ba 0.768 0.290 0.292
Ba 0.850 0.708 0.710
Ge 0.375 0.375 0.375
Ge 0.625 0.625 0.625
H 0.000 0.000 0.000
H 0.000 0.000 0.500
H 0.000 0.500 0.000
H 0.500 0.000 0.000

The 10 most intense peaks (2θ = 10–90°), sorted by position:
two_theta	d_spacing	intensity
17.43	5.088	17
24.75	3.598	36
25.93	3.436	100
27.99	3.187	63
30.08	2.971	41
33.17	2.701	37
35.28	2.544	19
43.31	2.089	20
48.22	1.887	19
53.85	1.702	15



(2)
Theoretical powder XRD pattern of Sr2Tl3In for Cu Kα (weighted mean of Kα1 and Kα2), from a DFT-relaxed cell (PBE, Alexandria).
Lines closer than 0.1° are merged.

Cell and atoms:
a b c (Å): 10.650 9.997 6.633
angles (deg): 76.69 66.00 37.31
Atoms (fractional coordinates):
Sr 0.247 0.753 0.753
Sr 0.250 0.250 0.250
Sr 0.750 0.750 0.750
Sr 0.753 0.247 0.247
Tl 0.169 0.169 0.831
Tl 0.169 0.662 0.338
Tl 0.338 0.831 0.169
Tl 0.662 0.169 0.831
Tl 0.831 0.338 0.662
Tl 0.831 0.831 0.169
In 0.334 0.334 0.666
In 0.666 0.666 0.334

The 10 most intense peaks (2θ = 10–90°), sorted by position:
two_theta	d_spacing	intensity
22.76	3.907	33
29.95	2.984	100
33.43	2.680	35
33.66	2.662	68
40.83	2.210	15
41.03	2.200	29
45.53	1.992	22
46.49	1.953	14
58.47	1.579	14
58.62	1.575	28



(3)
Theoretical powder XRD pattern of TaPtPb2O6 for Cu Kα (weighted mean of Kα1 and Kα2), from a DFT-relaxed cell (PBE, Alexandria).
Lines closer than 0.1° are merged.

Cell and atoms:
a b c (Å): 10.732 10.732 10.732
angles (deg): 31.29 31.29 31.29
Atoms (fractional coordinates):
Ta 0.094 0.094 0.094
Ta 0.906 0.906 0.906
Pt 0.000 0.000 0.000
Pt 0.500 0.500 0.500
Pb 0.226 0.226 0.226
Pb 0.386 0.386 0.386
Pb 0.614 0.614 0.614
Pb 0.774 0.774 0.774
O 0.104 0.104 0.631
O 0.104 0.631 0.104
O 0.219 0.700 0.700
O 0.300 0.300 0.781
O 0.300 0.781 0.300
O 0.369 0.896 0.896
O 0.631 0.104 0.104
O 0.700 0.219 0.700
O 0.700 0.700 0.219
O 0.781 0.300 0.300
O 0.896 0.369 0.896
O 0.896 0.896 0.369

The 10 most intense peaks (2θ = 10–90°), sorted by position:
two_theta	d_spacing	intensity
27.07	3.294	26
29.37	3.041	40
30.89	2.894	100
34.34	2.612	26
43.15	2.096	16
46.86	1.939	17
54.00	1.698	20
54.95	1.671	21
57.18	1.611	13
64.37	1.447	17

* * * * *

Computed PXRD pattern of Cs2NaH6Os for copper Kα, from a GGA-PBE-relaxed structure.
Peak positions follow from Bragg's law for the DFT cell and can differ from measured ones.

Crystal structure
```
data_Cs2NaH6Os
_cell_length_a 6.3153
_cell_length_b 6.3153
_cell_length_c 5.7152
_cell_angle_alpha 90.00
_cell_angle_beta 90.00
_cell_angle_gamma 120.00
_space_group_name_H-M_alt 'P -3 m 1'
_space_group_IT_number 164
_space_group_name_Hall '-P 3 2"'
loop_
_atom_site_label
_atom_site_fract_x
_atom_site_fract_y
_atom_site_fract_z
Cs1 0.3333 0.6667 0.2953
Na1 0.0000 0.0000 0.0000
H1 0.1302 0.2604 0.6759
Os1 0.0000 0.0000 0.5000
```

Principal peaks in the range 2θ from 5° to 70°, most intense first:
| hkl | Position (°2θ) | intensity |
| --- | --- | --- |
| 1 1 0 | 28.26 | 100 |
| 1 0 1 | 22.50 | 100 |
| 1 0 2 | 35.44 | 58 |
| 0 0 1 | 15.50 | 36 |
| 1 1 1 | 32.39 | 35 |
| 2 1 2 | 54.81 | 33 |
| 0 2 1 | 36.42 | 30 |
| 0 2 2 | 45.93 | 29 |
| 2 1 1 | 46.73 | 28 |
| 3 0 0 | 50.03 | 20 |



Computed PXRD pattern of Cs3NaH8Pd2 for copper Kα, from a GGA-PBE-relaxed structure.
Peak positions follow from Bragg's law for the DFT cell and can differ from measured ones.

Crystal structure
```
data_Cs3NaH8Pd2
_cell_length_a 6.5115
_cell_length_b 6.5115
_cell_length_c 7.8924
_cell_angle_alpha 90.00
_cell_angle_beta 90.00
_cell_angle_gamma 120.00
_space_group_name_H-M_alt 'P -3 m 1'
_space_group_IT_number 164
_space_group_name_Hall '-P 3 2"'
loop_
_atom_site_label
~~~
Here it is =
Tl 0.169 0.169 0.831
Tl 0.169 0.662 0.338
Tl 0.338 0.831 0.169
Tl 0.662 0.169 0.831
Tl 0.831 0.338 0.662
Tl 0.831 0.831 0.169